We are now going to take our goals and turn them into checklists.

We will do this with each of our goals, healthy, wealthy, and wise.

Before we jump into the checklists, I am going to recommend a book.

Years ago, I read The Checklist Manifesto: How to Get Things Right by Atul Gawande.

Like Zig Ziglar’s book, Goals, this book had a major impact on my thinking. 

In the book, the author looked at the airline industry and noticed something.

No pilots, at any time, could fly a plane without first working through a detailed pre-flight checklist.

The checklists are not optional.   If you have ever flown on a plane you are as thankful for those pre-flight checklists as I am.

Atul Gawande is a doctor.  He noticed that doctors did not have to use checklists before performing their duties, not even complicated surgeries.

Mr. Gawande wondered what would happen if he brought checklists into emergency room medicine.

The results were astonishing.

It turns out, many of the medical staff were forgetting little details during the high stress of emergency room surgery.

When the medical staff used checklists, their mistakes dropped dramatically.  Improvement was instant.

Some doctors did not like the checklists.   

So, the hospitals assigned specific nurses to watch the doctors.  The nurses’ job was simple.  Make sure the doctors were following the checklists.

Sure enough, with checklists in place, mistakes fell.  Successful surgeries increased.

Inspired by The Checklist Manifesto, I went back to my goals.

I broke my goals down into monthly goals.  I then broke those monthly goals into weekly goals, then daily goals.

I turned those daily goals into repeatable actions.  I added these actions to my checklist.

Improvement was instant and drastic.

How to build a checklist

To hit our goals, we must take specific daily actions.

Repeated actions become habits.

Keep this in mind.  Pilots and Medical doctors are highly-trained professionals.  They should be able to perform their duties habitually.

Yet, they still use checklists.  In fact, it is against the law for pilots to ignore checklists.

If pilots and doctors have to use checklists, it will not hurt us to use checklists.

Many people do not like checklists.  I get that.

If you are feeling negative about checklists, think of them as a short-term solution.  Think of the checklists as a tool.

You are trying to hit your goals.  A checklist is a tool to help you hit your goals.

Some people seem to be able to carry checklists around in their heads.   

My wife can do this.  Not me.  I forget things often.

When I do not use a checklist, I spend much of my day darting from task to forgotten task.  At the end of the day, I can barely remember accomplishing anything of importance.   

When I am operating off of a checklist, I rarely forget things.

Do not rely on memory.  If you are anything like me, your memory will let you down.

When you start creating checklists, I suggest you keep a journal.  Write down the habits you would like to develop in your life.

Be patient with yourself.  I have checklists spanning decades.  My early checklists are a mess.

If you are starting out, your checklists will be a mess, too.  Over time, as you get better at tracking your habits, your checklists will improve.

Let’s say you are determined to make walking a daily habit.

Give yourself about a month to build the habit.  In your journal, on your calendar, or on your checklist, create a reminder.

-- Unrelated to this text: data records --
┌──
Record 1
{
  "formula": "C14H16O",
  "method": "ωB97M-V with the def2-TZVPD basis set",
  "lumo_ev": 0.8,
  "orbital_gap_ev": 9.14,
  "smiles": "Cc1ccc(O)cc1.Cc1ccccc1",
  "species": ["C", "C", "C", "C", "C", "O", "C", "C", "H", "H", "H", "H", "H", "H", "H", "H", "C", "C", "C", "C", "C", "C", "C", "H", "H", "H", "H", "H", "H", "H", "H"],
  "positions_angstrom": [[4.324, 0.318, -2.445], [3.430, 0.361, -1.231], [2.264, -0.387, -1.198], [1.389, -0.363, -0.108], [1.666, 0.459, 0.967], [0.753, 0.565, 1.971], [2.892, 1.132, 1.003], [3.745, 1.082, -0.079], [4.782, -0.667, -2.578], [5.087, 1.091, -2.420], [3.690, 0.459, -3.322], [1.977, -1.052, -2.000], [0.464, -0.920, -0.234], [1.140, 0.929, 2.776], [3.214, 1.513, 1.972], [4.742, 1.500, -0.032], [-3.514, 1.729, 0.876], [-3.230, 0.272, 0.584], [-3.362, -0.700, 1.565], [-2.989, -2.014, 1.312], [-2.492, -2.383, 0.076], [-2.411, -1.430, -0.925], [-2.854, -0.134, -0.692], [-4.217, 2.145, 0.145], [-2.612, 2.303, 1.031], [-4.164, 1.752, 1.753], [-3.681, -0.423, 2.559], [-3.112, -2.738, 2.111], [-2.073, -3.372, -0.034], [-1.931, -1.591, -1.882], [-2.920, 0.564, -1.519]]
}


Record 2
{
  "formula": "C14H16O2",
  "method": "ωB97M-V with the def2-TZVPD basis set",
  "lumo_ev": 0.6,
  "orbital_gap_ev": 8.94,
  "smiles": "Cc1ccc(O)cc1.Cc1ccc(O)cc1",
  "species": ["C", "C", "C", "C", "C", "O", "C", "C", "H", "H", "H", "H", "H", "H", "H", "H", "C", "C", "C", "C", "C", "O", "C", "C", "H", "H", "H", "H", "H", "H", "H", "H"],
  "positions_angstrom": [[1.433, 1.024, -5.651], [1.641, 0.941, -4.177], [1.604, -0.357, -3.547], [1.686, -0.472, -2.173], [2.048, 0.649, -1.375], [2.335, 0.436, -0.071], [2.129, 1.921, -1.985], [1.920, 1.994, -3.337], [2.039, 0.337, -6.212], [1.798, 1.976, -6.067], [0.385, 0.898, -5.990], [1.426, -1.189, -4.198], [1.641, -1.393, -1.626], [2.602, 1.288, 0.324], [2.502, 2.773, -1.430], [1.943, 2.968, -3.903], [-4.136, -2.301, 3.629], [-2.988, -1.421, 3.184], [-2.710, -1.181, 1.852], [-1.626, -0.411, 1.410], [-0.729, 0.010, 2.360], [0.591, 0.262, 2.117], [-1.056, -0.066, 3.741], [-2.075, -0.867, 4.173], [-3.984, -3.297, 4.014], [-4.893, -2.536, 2.825], [-4.753, -1.751, 4.361], [-3.522, -1.552, 1.244], [-1.610, -0.346, 0.328], [0.883, 0.993, 1.571], [-0.219, 0.138, 4.407], [-2.375, -0.961, 5.209]]
}


Record 3
{
  "formula": "C14H17B2F4N4PtS2Se",
  "method": "ωB97M-V with the def2-TZVPD basis set",
  "lumo_ev": 2.6,
  "orbital_gap_ev": 6.88,
  "total_charge": -1,
  "species": ["Pt", "C", "N", "C", "C", "N", "B", "N", "C", "C", "N", "C", "C", "S", "C", "S", "H", "H", "H", "H", "H", "H", "H", "H", "H", "H", "H", "H", "Se", "C", "C", "C", "C", "C", "C", "H", "H", "H", "H", "H", "F", "B", "F", "F", "F"],
└──

Give yourself a little box to check off.

  • Take a walk every day.

Each day, tick off the box when you take a walk.

  • Take a walk.   

Simple as that.

Try to build a chain of unbroken check marks.

If you break the chain, don’t beat yourself up.  Start over again the next day.

Start building a new chain of checked boxes.   

Aim for progress, not perfection.  This will take time.  There is no way around it.

I once read a quote that stuck with me.

“Most of us overestimate what we can accomplish in a year and underestimate what we can accomplish in decades.”

The truth is, some of your goals are going to take longer than you think they will.  That’s okay.

Author Brian Tracy often reminds his readers, “There are no unrealistic goals.  Only unrealistic deadlines.” 

If you don’t hit your goal on time, set another deadline.

Don’t quit.  Self-discipline is not spectacular.  Self-discipline consists of doing the little things every day.  Over time, the little things add up.

You are laying a foundation for optimal performance.  Optimal comes from the Latin word optimus meaning best.  We all want to perform at our best.

Here’s the part we don’t like.  Optimal performance follows self-discipline.

Every four years, we celebrate the athletic feats of Olympic athletes.  But, think about it.  Over the last four years, those Olympians spent three hours a day training.

Daily, boring, repetitive self-discipline carried these athletes to the Olympics.

Like it, or not, optimal performance follows self-discipline.

Optimal performance follows our habits.  The habits come first.  Focus on the habits.  Use a checklist to track your habits.